== Entries ==
~~~
(1)
Structure and theoretical powder diffraction line list of Fe3Ni3B2 (a PBE-relaxed structure; Cu Ka).

Crystal structure
a b c (Å): 4.4117 5.2955 6.6314
angles (deg): 90.00 90.06 90.00
Space group P2_1 (No. 4)
Symmetry-distinct sites (fractional):
Fe  0.0993  0.0000  0.3102
Fe  0.1038  0.0016  0.6885
Fe  0.3956  0.3580  0.1929
Ni  0.1195  0.7078  0.0020
Ni  0.3815  0.6526  0.4986
Ni  0.4026  0.3649  0.8150
B  0.1945  0.3028  0.5007
B  0.3064  0.0598  0.9943

The 10 most intense peaks (2θ = 5–70°), by angle:
37.96°, I = 721, hkl 1 1 -2
42.07°, I = 680, hkl 1 2 -1
43.75°, I = 891, hkl 0 2 2
44.49°, I = 777, hkl 2 1 0
45.92°, I = 1000, hkl 1 0 3
46.66°, I = 781, hkl 2 1 1
48.60°, I = 487, hkl 1 2 2
49.21°, I = 456, hkl 1 1 -3
52.75°, I = 321, hkl 2 1 -2
56.12°, I = 366, hkl 1 3 0



(2)
Structure and theoretical powder diffraction line list of FeNiB (a PBE-relaxed structure; Cu Ka).

Crystal structure
a b c (Å): 9.6390 2.9806 5.6893
angles (deg): 90.00 90.00 90.00
Space group Pmma (No. 51)
Symmetry-distinct sites (fractional):
Fe  0.0451  0.0000  0.2076
Fe  0.2500  0.0000  0.8483
Ni  0.1197  0.5000  0.5640
Ni  0.2500  0.5000  0.1913
B  0.0887  0.5000  0.9395
B  0.2500  0.0000  0.4418

The 10 most intense peaks (2θ = 5–70°), by angle:
33.95°, I = 379, hkl 0 1 1
40.66°, I = 354, hkl 4 0 1
44.00°, I = 260, hkl 0 1 2
44.41°, I = 1000, hkl 3 1 1
45.05°, I = 368, hkl 1 1 2
47.97°, I = 208, hkl 0 0 3
48.08°, I = 237, hkl 2 1 2
48.58°, I = 239, hkl 4 1 0
49.58°, I = 257, hkl 4 0 2
62.30°, I = 268, hkl 0 2 0



(3)
Structure and theoretical powder diffraction line list of Fe6Ni10B (a PBE-relaxed structure; Cu Ka).

Crystal structure
a b c (Å): 6.9477 6.9477 4.6559
angles (deg): 90.00 90.00 120.00
Space group P-31m (No. 162)
Symmetry-distinct sites (fractional):
Fe  0.0000  0.4131  0.2559
Ni  0.0000  0.2230  0.7723
Ni  0.3333  0.6667  0.0000
Ni  0.3333  0.6667  0.5000
B  0.0000  0.0000  0.5000

The 10 most intense peaks (2θ = 5–70°), by angle:
38.68°, I = 134, hkl 0 0 2
39.63°, I = 376, hkl 2 1 0
41.60°, I = 132, hkl 1 0 2
44.33°, I = 1000, hkl 3 -1 1
45.21°, I = 195, hkl 3 0 0
46.99°, I = 520, hkl 1 1 2
49.51°, I = 101, hkl 2 0 2
56.56°, I = 114, hkl 4 -2 1
58.78°, I = 64, hkl 4 -1 1
67.25°, I = 90, hkl 2 2 2



(4)
Structure and theoretical powder diffraction line list of FeNiB2 (a PBE-relaxed structure; Cu Ka).

Crystal structure
a b c (Å): 4.9954 4.9954 4.9954
angles (deg): 90.00 90.00 90.00
Space group Fm-3m (No. 225)
Symmetry-distinct sites (fractional):
Fe  0.0000  0.0000  0.0000
Ni  0.0000  0.0000  0.5000
B  0.2500  0.2500  0.2500

The 4 most intense peaks (2θ = 5–70°), by angle:
31.01°, I = 6, hkl 1 1 1
35.96°, I = 932, hkl 2 0 0
51.76°, I = 1000, hkl 2 2 0
64.63°, I = 205, hkl 2 2 2

* * * * *

# NdAl3Ni2
Calculated PXRD pattern, Cu Kα. Input: a crystal structure in the Materials Project, relaxed with GGA-PBE.
Neutral-atom scattering factors, no anomalous dispersion.

Structural model:
```
data_NdAl3Ni2
_chemical_formula_sum 'Nd1 Al3 Ni2'
_cell_length_a 5.350
_cell_length_b 5.350
_cell_length_c 4.012
_cell_angle_alpha 90.00
_cell_angle_beta 90.00
_cell_angle_gamma 120.00
_symmetry_space_group_name_H-M 'P 1'
_symmetry_Int_Tables_number 1
loop_
_symmetry_equiv_pos_as_xyz
'x,y,z'
loop_
_atom_site_label
_atom_site_fract_x
_atom_site_fract_y
_atom_site_fract_z
Nd1 0.000 0.000 0.000
Al1 0.000 0.500 0.500
Al2 0.500 0.000 0.500
Al3 0.500 0.500 0.500
Ni1 0.333 0.667 0.000
Ni2 0.667 0.333 0.000
```

Most intense lines, 2θ = 5–70°, by angle:
two_theta	Rel. int.
19.2	9
22.2	33
29.4	29
33.5	57
38.9	16
40.5	100
45.2	17
57.4	33
59.9	10
64.7	24

***

# Ti6Ga16Os7
Calculated PXRD pattern, Cu Kα. Input: a crystal structure in the Materials Project, relaxed with GGA-PBE.
Neutral-atom scattering factors, no anomalous dispersion.

Structural model:
```
data_Ti6Ga16Os7
_chemical_formula_sum 'Ti6 Ga16 Os7'
_cell_length_a 8.645
_cell_length_b 8.645
_cell_length_c 8.645
_cell_angle_alpha 60.00
_cell_angle_beta 60.00
_cell_angle_gamma 60.00
~~~

== What to do ==
Please restate the entries above without altering anything.

== Reply ==
(1)
Structure and theoretical powder diffraction line list of Fe3Ni3B2 (a PBE-relaxed structure; Cu Ka).

Crystal structure
a b c (Å): 4.4117 5.2955 6.6314
angles (deg): 90.00 90.06 90.00
Space group P2_1 (No. 4)
Symmetry-distinct sites (fractional):
Fe  0.0993  0.0000  0.3102
Fe  0.1038  0.0016  0.6885
Fe  0.3956  0.3580  0.1929
Ni  0.1195  0.7078  0.0020
Ni  0.3815  0.6526  0.4986
Ni  0.4026  0.3649  0.8150
B  0.1945  0.3028  0.5007
B  0.3064  0.0598  0.9943

The 10 most intense peaks (2θ = 5–70°), by angle:
37.96°, I = 721, hkl 1 1 -2
42.07°, I = 680, hkl 1 2 -1
43.75°, I = 891, hkl 0 2 2
44.49°, I = 777, hkl 2 1 0
45.92°, I = 1000, hkl 1 0 3
46.66°, I = 781, hkl 2 1 1
48.60°, I = 487, hkl 1 2 2
49.21°, I = 456, hkl 1 1 -3
52.75°, I = 321, hkl 2 1 -2
56.12°, I = 366, hkl 1 3 0



(2)
Structure and theoretical powder diffraction line list of FeNiB (a PBE-relaxed structure; Cu Ka).

Crystal structure
a b c (Å): 9.6390 2.9806 5.6893
angles (deg): 90.00 90.00 90.00
Space group Pmma (No. 51)
Symmetry-distinct sites (fractional):
Fe  0.0451  0.0000  0.2076
Fe  0.2500  0.0000  0.8483
Ni  0.1197  0.5000  0.5640
Ni  0.2500  0.5000  0.1913
B  0.0887  0.5000  0.9395
B  0.2500  0.0000  0.4418

The 10 most intense peaks (2θ = 5–70°), by angle:
33.95°, I = 379, hkl 0 1 1
40.66°, I = 354, hkl 4 0 1
44.00°, I = 260, hkl 0 1 2
44.41°, I = 1000, hkl 3 1 1
45.05°, I = 368, hkl 1 1 2
47.97°, I = 208, hkl 0 0 3
48.08°, I = 237, hkl 2 1 2
48.58°, I = 239, hkl 4 1 0
49.58°, I = 257, hkl 4 0 2
62.30°, I = 268, hkl 0 2 0



(3)
Structure and theoretical powder diffraction line list of Fe6Ni10B (a PBE-relaxed structure; Cu Ka).

Crystal structure
a b c (Å): 6.9477 6.9477 4.6559
angles (deg): 90.00 90.00 120.00
Space group P-31m (No. 162)
Symmetry-distinct sites (fractional):
Fe  0.0000  0.4131  0.2559
Ni  0.0000  0.2230  0.7723
Ni  0.3333  0.6667  0.0000
Ni  0.3333  0.6667  0.5000
B  0.0000  0.0000  0.5000

The 10 most intense peaks (2θ = 5–70°), by angle:
38.68°, I = 134, hkl 0 0 2
39.63°, I = 376, hkl 2 1 0
41.60°, I = 132, hkl 1 0 2
44.33°, I = 1000, hkl 3 -1 1
45.21°, I = 195, hkl 3 0 0
46.99°, I = 520, hkl 1 1 2
49.51°, I = 101, hkl 2 0 2
56.56°, I = 114, hkl 4 -2 1
58.78°, I = 64, hkl 4 -1 1
67.25°, I = 90, hkl 2 2 2



(4)
Structure and theoretical powder diffraction line list of FeNiB2 (a PBE-relaxed structure; Cu Ka).

Crystal structure
a b c (Å): 4.9954 4.9954 4.9954
angles (deg): 90.00 90.00 90.00
Space group Fm-3m (No. 225)
Symmetry-distinct sites (fractional):
Fe  0.0000  0.0000  0.0000
Ni  0.0000  0.0000  0.5000
B  0.2500  0.2500  0.2500

The 4 most intense peaks (2θ = 5–70°), by angle:
31.01°, I = 6, hkl 1 1 1
35.96°, I = 932, hkl 2 0 0
51.76°, I = 1000, hkl 2 2 0
64.63°, I = 205, hkl 2 2 2

* * * * *

# NdAl3Ni2
Calculated PXRD pattern, Cu Kα. Input: a crystal structure in the Materials Project, relaxed with GGA-PBE.
Neutral-atom scattering factors, no anomalous dispersion.

Structural model:
```
data_NdAl3Ni2
_chemical_formula_sum 'Nd1 Al3 Ni2'
_cell_length_a 5.350
_cell_length_b 5.350
_cell_length_c 4.012
_cell_angle_alpha 90.00
_cell_angle_beta 90.00
_cell_angle_gamma 120.00
_symmetry_space_group_name_H-M 'P 1'
_symmetry_Int_Tables_number 1
loop_
_symmetry_equiv_pos_as_xyz
'x,y,z'
loop_
_atom_site_label
_atom_site_fract_x
_atom_site_fract_y
_atom_site_fract_z
Nd1 0.000 0.000 0.000
Al1 0.000 0.500 0.500
Al2 0.500 0.000 0.500
Al3 0.500 0.500 0.500
Ni1 0.333 0.667 0.000
Ni2 0.667 0.333 0.000
```

Most intense lines, 2θ = 5–70°, by angle:
two_theta	Rel. int.
19.2	9
22.2	33
29.4	29
33.5	57
38.9	16
40.5	100
45.2	17
57.4	33
59.9	10
64.7	24

***

# Ti6Ga16Os7
Calculated PXRD pattern, Cu Kα. Input: a crystal structure in the Materials Project, relaxed with GGA-PBE.
Neutral-atom scattering factors, no anomalous dispersion.

Structural model:
```
data_Ti6Ga16Os7
_chemical_formula_sum 'Ti6 Ga16 Os7'
_cell_length_a 8.645
_cell_length_b 8.645
_cell_length_c 8.645
_cell_angle_alpha 60.00
_cell_angle_beta 60.00
_cell_angle_gamma 60.00